Solved – Confidence Interval and P Value uncertainty for Permutation Test

confidence intervalp-valuepermutation-test

I'm learning randomization tests right now. There are two questions coming to my mind:

........
Entry 1:
# C26H19Cl3N2O2S6SeSiW

C26H19Cl3N2O2S6SeSiW as an isolated structure at a distorted geometry (ωB97M-V with the def2-TZVPD basis set, OMol25).

Summary:
**Maximum force**: 0.040 Eh/bohr
**Lowest unoccupied orbital energy (alpha / beta)**: 4.02 / 4.02 eV
**⟨S²⟩**: 2.03
**Total charge**: -2
**Molar mass**: 981.10 g mol⁻¹
**Highest occupied orbital energy (alpha / beta)**: -0.94 / -1.47 eV
**2S+1**: 3

Each line ends with the Mulliken spin population.
Positions of all 61 atoms, in Å:
H1 1.76 4.44 -1.71  0.0004
C1 -4.13 0.65 1.35  -0.0003
H2 -6.59 -0.36 4.13  -0.0001
O1 -6.51 1.19 -1.26  0.0005
S1 1.52 1.75 -0.80  -0.0179
C2 1.18 1.31 1.83  -0.0189
H3 0.83 5.59 -3.69  0.0017
H4 -0.02 2.76 0.75  0.0039
H5 2.15 -1.47 4.23  0.0005
C3 -6.39 0.58 2.21  -0.0005
C4 -4.55 -0.37 3.46  0.0063
H6 -7.44 0.81 2.10  0.0002
C5 1.03 3.95 -2.34  -0.0030
H7 -4.19 -0.89 4.33  -0.0001
H8 6.38 -5.03 -1.66  -0.0007
C6 4.78 -3.99 -2.65  0.0048
Si1 -0.13 -2.67 -1.74  -0.0265
H9 4.90 -4.52 -3.59  0.0004
C7 2.39 -2.14 1.66  0.0055
C8 5.40 -3.64 -0.36  0.0066
C9 1.83 -0.88 2.22  0.0180
W1 0.31 -0.58 -0.47  1.5772
O2 -6.06 3.21 0.03  0.0006
H10 0.96 2.58 3.51  -0.0007
C10 -3.65 -0.01 2.47  0.0022
C11 1.18 1.58 3.18  0.0156
Cl1 0.52 -2.70 -3.78  -0.0032
S2 -5.66 1.85 -0.29  0.0033
H11 1.95 -2.41 0.69  0.0199
C12 1.01 2.42 0.83  0.0180
C13 3.83 -3.00 -2.55  0.0015
C14 5.60 -4.28 -1.57  -0.0066
H12 3.19 -2.75 -3.38  -0.0004
C15 3.65 -2.30 -1.36  -0.0035
Cl2 1.09 -4.27 -1.07  0.0012
H13 -2.60 -0.26 2.56  -0.0048
C16 -0.29 1.97 -2.84  -0.0004
C17 -0.82 2.64 -3.94  0.0065
H14 1.36 0.73 5.15  0.0034
S3 4.21 -1.92 1.36  0.0067
H15 2.26 -2.97 2.36  0.0105
H16 1.67 3.26 1.08  -0.0016
C18 0.63 2.65 -2.04  0.0287
C19 -0.43 3.92 -4.25  -0.0049
H17 -1.54 2.12 -4.55  0.0005
C20 -3.38 1.20 0.21  0.0006
C21 0.50 4.59 -3.45  0.0120
S4 -0.69 0.30 -2.62  -0.0261
H18 6.00 -3.86 0.50  0.0004
Cl3 -1.96 -3.62 -1.92  0.0030
N1 1.39 0.06 1.34  0.0247
Se1 -0.83 -1.92 1.29  0.2844
S5 2.68 -0.83 -1.38  0.0205
C22 1.85 -0.66 3.58  0.0057
C23 -5.49 0.92 1.24  0.0016
C24 -5.90 -0.08 3.34  0.0006
C25 1.44 0.56 4.09  0.0052
S6 -1.69 1.23 0.24  -0.0006
H19 -0.82 4.40 -5.13  -0.0006
N2 -4.07 1.81 -0.71  0.0112
C26 4.41 -2.67 -0.24  0.0067

Entry 2:
# H80O40

A 40-piece molecular cluster, H80O40 overall at a distorted geometry (ωB97M-V with the def2-TZVPD basis set, OMol25).

Summary:
**Maximum force**: 0.058 Eh/bohr
**Lowest unoccupied orbital energy**: -0.48 eV
**Relative energy (zero: lowest compared OMol25 entry of this formula, charge and spin)**: 828.3 kJ/mol
**Total charge**: 0
**Molar mass**: 720.60 g mol⁻¹
**Highest occupied orbital energy**: -10.48 eV
**2S+1**: 1

Each line ends with the Mulliken charge.
Positions of all 120 atoms, in Å:
O1 -3.38 2.77 -4.39  -0.5260
H1 -2.53 -3.46 1.88  0.3006
O2 1.32 -1.94 6.24  -0.5895
H2 -2.42 -0.91 -5.61  0.2505
O3 1.58 -0.43 3.35  0.5975
H3 -4.13 -2.81 0.48  0.2758
H4 -1.70 -2.33 1.08  0.0355
H5 -3.00 3.59 -4.71  0.2552
H6 2.83 0.09 -2.47  0.1959
........

  1. Yes, it's easy and intuitive how p-value is computed with randomization test (which I think is the same as permutation test?). However, how could we also generate a 95% confidence interval as we do with normal parametric tests?

  2. As I'm reading a document from University of Washington on permutation tests, there is a sentence on page 13 that says:

    With 1000 permutations …., the uncertainty near p = 0.05 is about
    $\pm 1\% $.

    I wonder how we get this uncertainty.

# Next to the entry, the page also holds data records
Model 1:
Entry from the OMol25 dataset: a cluster of 2 separate species, C4H12IN2 in total (wB97M-V/def2-TZVPD).

Geometry as XYZ:
```
19
Properties=species:S:1:pos:R:3:lowdin_charge:R:1
C 2.6137 0.3054 -1.8173 -0.078
C -3.1854 -1.1597 0.8159 -0.141
C 2.2751 0.8911 -0.4306 -0.298
C 1.0096 0.6528 0.2245 -0.783
N -0.0725 0.2549 -0.2809 0.098
N -2.0910 -0.3489 1.2733 -0.103
I 0.9134 1.2882 2.2222 1.027
H 1.8070 0.1753 -2.4956 0.048
H 3.2984 1.0464 -2.3372 0.111
H 3.0699 -0.7041 -1.7659 0.094
H -3.0815 -2.1763 1.1427 0.072
H -4.1972 -0.8043 1.2340 0.123
H -3.1236 -1.0768 -0.2913 0.090
H 3.0306 0.6160 0.3196 0.104
H 2.4399 2.0160 -0.5844 0.161
H 0.0765 -0.2395 -1.2508 0.185
H -1.0518 0.0501 0.3406 0.055
H -2.4138 0.2728 1.9724 0.074
H -1.3174 -1.0596 1.7088 0.163
```

Properties
**2S+1**: 1
**Net charge**: +1
**HOMO**: -14.1 eV
**Kohn-Sham gap**: 10.33 eV
**Lowest unoccupied orbital energy**: -3.781 eV

=====

Model 2:
Entry from the OMol25 dataset: the ion C4H12IN2 with charge +1 (wB97M-V/def2-TZVPD).

Geometry as XYZ:
```
19
Properties=species:S:1:pos:R:3:lowdin_charge:R:1
C 1.3437 -1.1454 1.0277 -0.101
C -1.1691 0.9993 1.1574 0.001
C 0.4398 -1.2528 -0.1939 -0.300
C 0.1277 0.0824 -0.8334 -0.754
N -1.1974 0.0348 -1.8078 0.061
N -0.1843 1.1909 0.1122 -0.042
I 1.8809 0.7929 -2.0649 0.885
H 1.4836 -2.1780 1.3861 0.111
H 2.1773 -0.5033 0.7758 0.056
H 0.8888 -0.4966 1.7530 0.046
H -2.1286 0.9000 0.7780 0.090
H -0.9736 0.1564 1.8203 0.113
H -1.1571 1.9207 1.6348 0.098
H 0.9331 -1.9330 -1.0765 0.167
H -0.4667 -1.7652 0.2093 0.130
H -0.9230 0.5640 -2.6691 0.052
H -1.2499 -0.8860 -2.1592 0.045
H -0.4790 2.0318 -0.4626 0.193
H 0.6537 1.4871 0.6129 0.149
```

Properties
**2S+1**: 1
**Net charge**: +1
**HOMO**: -13.7 eV
**Kohn-Sham gap**: 9.57 eV
**Lowest unoccupied orbital energy**: -4.168 eV

=====

Which of them is the least stable? Correct choice: model 2.

=====

Model 1:
Entry from the OMol25 dataset: a cluster of 2 separate species, CH7N2O2P in total (wB97M-V/def2-TZVPD).

Geometry as XYZ:
```
13
Properties=species:S:1:pos:R:3:lowdin_charge:R:1
C 0.8908 0.9226 -0.3396 -0.205
N -0.1472 -1.4142 2.1747 0.041
N -2.0600 -0.2511 -1.0089 0.029
O 3.1805 -0.3338 0.6552 -0.352
O 1.0325 -1.0102 1.7444 -0.383
P 1.7622 -0.5699 0.3665 0.699
H 0.8620 0.7798 -1.4103 0.020
H -0.1652 1.0584 0.0944 0.057
H 1.7056 1.6182 -0.1965 0.032
H -1.0843 -0.1487 -1.3809 0.004
H -0.9922 -0.7890 1.9155 0.069
H -2.5731 -0.5668 -1.7392 -0.042
H -2.4114 0.7047 -0.8753 0.029
```

Properties
**2S+1**: 1
**Net charge**: 0
**HOMO (spin up / spin down)**: -9.8 / -8.8 eV
**Kohn-Sham gap (spin up / spin down)**: 8.41 / 8.44 eV
**Lowest unoccupied orbital energy (spin up / spin down)**: -1.354 / -0.357 eV

=====

Model 2:
Entry from the OMol25 dataset: the molecule CH7N2O2P (wB97M-V/def2-TZVPD).

Geometry as XYZ:
```
13
Properties=species:S:1:pos:R:3:lowdin_charge:R:1
C 0.7649 0.9963 -0.6750 -0.268
N -0.9699 -0.0430 1.7537 -0.064
N 1.8974 0.2006 -0.2569 -0.027
O -2.1603 0.5596 -0.5480 -0.332
# So much for the data records

Best Answer

Inserted here: records of molecules:
+++
ORCA calculation (wB97M-V/def2-TZVPD) on 3 unconnected molecules or ions with the total composition C8H24N5O5P.

Geometry as ORCA input:
```
! RIJCOSX wB97M-V def2-TZVPD def2/J DEFGRID3
* xyz 1 2
O 26.723 24.845 -12.900
P 26.594 23.384 -13.205
N 25.022 22.844 -13.721
C 24.570 23.225 -15.026
C 23.884 22.417 -12.842
N 26.943 22.379 -11.893
C 26.744 20.820 -12.090
C 28.014 22.691 -10.884
N 27.643 22.867 -14.509
C 27.410 21.664 -15.331
C 28.948 23.495 -14.686
H 23.656 22.723 -15.340
H 25.291 23.176 -15.842
H 24.171 24.234 -14.916
H 23.316 23.285 -12.508
H 24.307 21.953 -11.951
H 23.193 21.794 -13.410
H 25.774 20.554 -12.513
H 27.547 20.376 -12.678
H 26.747 20.323 -11.120
H 27.740 22.282 -9.912
H 28.916 22.202 -11.252
H 28.320 23.737 -10.855
H 28.391 21.191 -15.293
H 26.676 20.942 -14.974
H 27.140 21.967 -16.343
H 29.319 23.395 -15.706
H 29.647 23.003 -14.010
H 28.861 24.533 -14.365
C 23.611 19.083 -14.595
N 22.643 19.966 -15.242
O 22.965 20.251 -16.389
O 21.622 20.365 -14.611
H 24.454 19.614 -14.152
H 23.953 18.420 -15.389
H 23.111 18.573 -13.772
C 21.484 22.869 -17.856
N 21.502 24.146 -18.535
O 22.317 24.982 -18.122
O 20.691 24.376 -19.456
H 22.065 22.202 -18.494
H 20.466 22.491 -17.756
H 21.939 23.010 -16.876
*
```

As for the HOMO-LUMO gap (spin up / spin down): 9.5 / 5.2 eV. The total energy is -35648.5346 eV. Its expectation value of S² is 0.76. As for the highest occupied orbital energy (spin up / spin down): -12.79 / -12.78 eV.



ORCA calculation (wB97M-V/def2-TZVPD) on a molecular structure, C8H24O12S2.

Geometry as ORCA input:
```
! RIJCOSX wB97M-V def2-TZVPD def2/J DEFGRID3
* xyz 0 1
C 2.353 3.572 -0.729
O 1.429 2.630 -1.390
H 2.831 4.298 -1.437
H 1.713 4.150 -0.008
H 3.108 3.018 -0.175
H 0.907 3.190 -1.966
C -1.841 3.083 1.987
O -0.587 2.752 1.560
H -1.867 4.101 2.473
H -2.603 3.117 1.144
H -2.317 2.382 2.735
H -0.441 1.824 1.294
C 1.482 1.006 3.843
O 0.522 1.872 4.427
H 1.099 0.486 2.954
H 2.433 1.489 3.619
H 1.714 0.244 4.583
H -0.043 2.252 3.765
C 1.838 0.043 0.251
O 0.598 0.729 0.175
H 1.609 -0.899 0.728
H 2.192 -0.094 -0.786
H 2.662 0.512 0.815
H 0.629 1.516 -0.401
C 1.349 -2.354 -4.244
C 1.025 -3.113 -2.885
O -0.285 -2.696 -2.466
S -0.917 -1.855 -3.658
O -1.768 -0.827 -3.108
O -1.479 -2.804 -4.593
O 0.435 -1.263 -4.361
H 1.280 -2.923 -5.176
H 2.335 -1.902 -4.218
H 1.756 -2.955 -2.096
H 1.050 -4.160 -3.071
C -1.409 -1.566 0.113
C -1.927 -0.830 1.378
O -2.487 -1.889 2.171
S -3.100 -3.039 1.297
O -4.541 -2.906 1.229
O -2.431 -4.222 1.789
O -2.525 -2.500 -0.157
H -0.487 -2.161 0.076
H -1.470 -0.809 -0.652
H -2.699 -0.083 1.169
H -1.128 -0.419 2.002
*
```

As for the HOMO-LUMO gap: 10.5 eV. The total energy is -54921.2987 eV. As for the highest occupied orbital energy: -10.31 eV.



ORCA calculation (wB97M-V/def2-TZVPD) on 7 unconnected molecules or ions with the total composition C8H24O6.

Geometry as ORCA input:
```
! RIJCOSX wB97M-V def2-TZVPD def2/J DEFGRID3
* xyz 0 1
C 0.410 0.950 -1.974
C 0.202 0.573 -0.709
C -1.143 0.446 -0.099
+++

However, how could we also generate a 95% confidence interval as we do with normal parametric tests?

Here's one way you could generate an interval from a resampling test, though it's not always appropriate to consider it a confidence interval$^\dagger$. For a specific example, take a test for a two-sample difference in means. Consider shifting the second sample by $\delta$ (which can be positive or negative). Then the set of $\delta$ values which would lead to non-rejection by the test at level $\alpha$ could be used as a nominally $1-\alpha$ confidence interval for the difference in means.

$\dagger$ Some authors (e.g. [1], p364 et seq, [2]) call an interval constructed this way (parameter values not rejected by the test) a consonance interval -- which is a better name than confidence interval for it (though many people simply ignore the difference; for example I believe Cox & Hinkley call these confidence intervals) because the approach doesn't necessarily give intervals that have the desired coverage (in many situations it's possible to see that it should); the name conveys something about what the interval does tell you (an interval of values consistent with the data).

Gelman includes discussion of why it can sometimes be problematic to universally consider them confidence intervals here.

It's not hard to explore the coverage under particular sets of assumptions (via simulation), though, and there's no lack of people calling bootstrap intervals "confidence intervals" (even when they are sometimes seen to have nothing like the claimed coverage).

More details on how to do it in the two sample difference-in-means case are discussed in [3], where they're called randomization confidence intervals and a claim is made there about when they're exact (which claim I haven't tried to evaluate).

With 1000 permutations ...., the uncertainty near p = 0.05 is about ±1%.

I wonder how we get this uncertainty?

The estimated p-value is a straight binomial proportion. So it has the same standard error as any other binomial proportion, $\sqrt{\frac{p(1-p)}{n}}$.

So if $p = 0.05$ and $n=1000$, the standard error of the observed proportion is about $0.0069$. A $90\%$ CI would be $\pm 1.13\%$ [Alternatively, $\pm 1\%$ is about $1.45$ standard errors each side, which would correspond to a confidence interval for the underlying p-value of a bit over $85\%$]

So at least in a rough sense you could talk about the uncertainty being "about 1%"


[1] Kempthorne and Folks (1971),
Probability, Statistics, and data analysis,
Iowa State University Press

[2] LaMotte L.R. and Volaufová J, (1999),
"Prediction Intervals via Consonance Intervals",
Journal of the Royal Statistical Society. Series D (The Statistician), Vol. 48, No. 3, pp. 419-424

[3] Ernst, M.D. (2004),
"Permutation Methods: A Basis for Exact Inference", Statistical Science, Vol. 19, No. 4, 676–685